-- Listing --
********
(1)
{"formula": "C45H40AlBrF7I2", "method": "ωB97M-V with the def2-TZVPD basis set", "species": ["H", "C", "H", "C", "F", "H", "C", "H", "C", "H", "C", "H", "C", "C", "H", "C", "F", "C", "C", "C", "C", "C", "C", "C", "H", "H", "H", "H", "H", "H", "H", "H", "H", "H", "H", "H", "F", "C", "C", "C", "H", "Br", "H", "C", "C", "H", "C", "H", "C", "C", "C", "H", "H", "C", "C", "C", "C", "H", "I", "C", "H", "C", "H", "H", "F", "C", "C", "C", "H", "H", "C", "H", "C", "C", "H", "H", "F", "I", "C", "H", "H", "F", "Al", "H", "C", "C", "C", "C", "C", "C", "H", "H", "C", "C", "F", "H"], "coordinates": [[-8.784, -0.025, 1.628], [2.180, -6.570, 4.324], [2.298, -7.334, 3.570], [1.605, -5.351, 3.662], [-8.787, 3.342, -1.340], [-0.358, 3.103, 1.587], [0.470, 4.084, 8.444], [2.519, -3.922, -1.214], [1.278, -2.218, -0.759], [-5.637, 5.091, -1.608], [1.083, 2.324, 2.995], [1.522, -6.974, 5.072], [-7.993, 1.210, -1.941], [1.295, -2.522, -7.948], [-1.610, -7.019, 1.719], [1.648, 1.988, 8.383], [3.467, -3.129, -3.492], [2.596, -2.420, -2.731], [5.833, 1.067, -2.149], [1.903, -2.739, -6.720], [-3.653, 2.875, 0.807], [2.654, 0.745, 2.090], [3.536, 1.750, -2.451], [2.174, -1.187, -3.185], [-6.560, 4.556, 0.619], [0.387, -1.939, -8.033], [2.148, 3.727, 5.518], [3.158, -6.337, 4.716], [-0.175, 4.780, 8.965], [-5.273, 3.103, 2.176], [0.463, 2.648, 10.037], [1.933, 1.046, 8.831], [-2.142, 2.767, -0.699], [2.544, -0.803, -4.127], [2.490, 1.611, -2.212], [3.499, 0.082, 2.221], [-2.958, 2.091, 1.650], [6.237, 2.054, -3.035], [2.169, 1.475, 3.167], [4.487, 0.932, -1.876], [-3.431, 4.197, -2.277], [-2.699, -6.138, 4.670], [3.539, -3.648, -5.682], [-8.013, -0.550, -0.302], [3.629, -4.020, -7.792], [3.221, 3.395, -3.781], [0.986, 1.704, 0.699], [-0.256, -8.195, 3.693], [1.279, -0.465, -2.408], [-8.820, 1.639, 0.283], [-8.534, 2.059, -0.999], [0.139, -0.409, -0.593], [0.661, 5.320, 6.702], [-8.560, 0.321, 0.629], [2.164, -2.951, -1.534], [3.071, -3.484, -6.639], [2.057, 0.852, 0.844], [-7.783, 1.577, -2.937], [2.944, -3.690, 3.501], [1.867, -3.066, -9.079], [-7.805, -1.576, -0.027], [3.024, -3.815, -9.024], [1.462, -2.326, -5.822], [6.546, 0.407, -1.674], [2.911, 1.444, 6.483], [-3.112, 3.166, -0.430], [1.768, 3.500, 6.505], [-3.836, 3.967, -1.301], [2.632, 1.379, 4.137], [0.930, 0.501, -2.751], [0.940, 4.388, 7.175], [2.412, 0.280, 0.001], [0.826, 2.886, 9.046], [-7.728, -0.104, -1.584], [-7.297, -0.780, -2.309], [5.620, 3.664, -4.310], [1.276, -2.861, -10.277], [-0.377, -3.518, 2.295], [-5.075, 4.468, -0.926], [-9.237, 2.337, 0.997], [3.439, -4.230, -9.933], [0.397, 1.817, -0.522], [-0.954, -6.860, 3.166], [0.695, 2.891, 3.830], [0.487, 2.445, 1.748], [0.387, -5.300, 3.177], [3.953, 2.740, -3.327], [0.833, -0.977, -1.198], [2.107, 2.312, 7.123], [-4.883, 3.360, 1.201], [4.540, -4.599, -7.733], [7.288, 2.169, -3.265], [-5.594, 4.166, 0.325], [5.300, 2.892, -3.622], [4.089, -0.029, -1.020], [0.933, -2.613, 0.195]], "mulliken_charge": [0.37, -1.23, 0.29, 0.23, -0.36, 0.38, -0.53, 0.48, 0.62, 0.41, -0.38, 0.30, -0.43, -0.64, -0.24, -0.51, -0.34, 0.29, -0.57, -0.11, 0.14, -1.08, 0.22, -0.32, 0.40, 0.42, 0.61, 0.37, 0.36, 0.44, 0.36, 0.41, 0.55, 0.74, 0.43, 0.52, -0.28, -0.40, -0.55, 0.40, 0.37, -0.48, 0.49, -0.55, -0.37, 0.39, 0.20, -0.25, -0.73, -0.34, 0.41, 0.76, 0.36, -0.35, -0.99, -0.48, 0.77, 0.42, -0.02, 0.39, 0.40, -0.50, 0.36, 0.43, -0.32, -0.10, -0.40, -0.49, 0.40, 0.73, -0.42, 0.26, -0.32, -0.36, 0.38, 0.38, -0.32, -0.04, -0.54, 0.42, 0.41, -0.32, 0.20, 0.45, -0.52, -0.10, -0.85, -0.95, 0.39, -0.52, 0.37, 0.37, -0.38, -0.54, -0.34, -0.37], "charge": -1, "largest_force_ev_per_a": 0.98, "homo_lumo_gap_ev": 7.639}

---

(2)
********
-- Exercise --
The reader should type out every line further up that contains the word "basis".
-- Written answer --
{"formula": "C45H40AlBrF7I2", "method": "ωB97M-V with the def2-TZVPD basis set", "species": ["H", "C", "H", "C", "F", "H", "C", "H", "C", "H", "C", "H", "C", "C", "H", "C", "F", "C", "C", "C", "C", "C", "C", "C", "H", "H", "H", "H", "H", "H", "H", "H", "H", "H", "H", "H", "F", "C", "C", "C", "H", "Br", "H", "C", "C", "H", "C", "H", "C", "C", "C", "H", "H", "C", "C", "C", "C", "H", "I", "C", "H", "C", "H", "H", "F", "C", "C", "C", "H", "H", "C", "H", "C", "C", "H", "H", "F", "I", "C", "H", "H", "F", "Al", "H", "C", "C", "C", "C", "C", "C", "H", "H", "C", "C", "F", "H"], "coordinates": [[-8.784, -0.025, 1.628], [2.180, -6.570, 4.324], [2.298, -7.334, 3.570], [1.605, -5.351, 3.662], [-8.787, 3.342, -1.340], [-0.358, 3.103, 1.587], [0.470, 4.084, 8.444], [2.519, -3.922, -1.214], [1.278, -2.218, -0.759], [-5.637, 5.091, -1.608], [1.083, 2.324, 2.995], [1.522, -6.974, 5.072], [-7.993, 1.210, -1.941], [1.295, -2.522, -7.948], [-1.610, -7.019, 1.719], [1.648, 1.988, 8.383], [3.467, -3.129, -3.492], [2.596, -2.420, -2.731], [5.833, 1.067, -2.149], [1.903, -2.739, -6.720], [-3.653, 2.875, 0.807], [2.654, 0.745, 2.090], [3.536, 1.750, -2.451], [2.174, -1.187, -3.185], [-6.560, 4.556, 0.619], [0.387, -1.939, -8.033], [2.148, 3.727, 5.518], [3.158, -6.337, 4.716], [-0.175, 4.780, 8.965], [-5.273, 3.103, 2.176], [0.463, 2.648, 10.037], [1.933, 1.046, 8.831], [-2.142, 2.767, -0.699], [2.544, -0.803, -4.127], [2.490, 1.611, -2.212], [3.499, 0.082, 2.221], [-2.958, 2.091, 1.650], [6.237, 2.054, -3.035], [2.169, 1.475, 3.167], [4.487, 0.932, -1.876], [-3.431, 4.197, -2.277], [-2.699, -6.138, 4.670], [3.539, -3.648, -5.682], [-8.013, -0.550, -0.302], [3.629, -4.020, -7.792], [3.221, 3.395, -3.781], [0.986, 1.704, 0.699], [-0.256, -8.195, 3.693], [1.279, -0.465, -2.408], [-8.820, 1.639, 0.283], [-8.534, 2.059, -0.999], [0.139, -0.409, -0.593], [0.661, 5.320, 6.702], [-8.560, 0.321, 0.629], [2.164, -2.951, -1.534], [3.071, -3.484, -6.639], [2.057, 0.852, 0.844], [-7.783, 1.577, -2.937], [2.944, -3.690, 3.501], [1.867, -3.066, -9.079], [-7.805, -1.576, -0.027], [3.024, -3.815, -9.024], [1.462, -2.326, -5.822], [6.546, 0.407, -1.674], [2.911, 1.444, 6.483], [-3.112, 3.166, -0.430], [1.768, 3.500, 6.505], [-3.836, 3.967, -1.301], [2.632, 1.379, 4.137], [0.930, 0.501, -2.751], [0.940, 4.388, 7.175], [2.412, 0.280, 0.001], [0.826, 2.886, 9.046], [-7.728, -0.104, -1.584], [-7.297, -0.780, -2.309], [5.620, 3.664, -4.310], [1.276, -2.861, -10.277], [-0.377, -3.518, 2.295], [-5.075, 4.468, -0.926], [-9.237, 2.337, 0.997], [3.439, -4.230, -9.933], [0.397, 1.817, -0.522], [-0.954, -6.860, 3.166], [0.695, 2.891, 3.830], [0.487, 2.445, 1.748], [0.387, -5.300, 3.177], [3.953, 2.740, -3.327], [0.833, -0.977, -1.198], [2.107, 2.312, 7.123], [-4.883, 3.360, 1.201], [4.540, -4.599, -7.733], [7.288, 2.169, -3.265], [-5.594, 4.166, 0.325], [5.300, 2.892, -3.622], [4.089, -0.029, -1.020], [0.933, -2.613, 0.195]], "mulliken_charge": [0.37, -1.23, 0.29, 0.23, -0.36, 0.38, -0.53, 0.48, 0.62, 0.41, -0.38, 0.30, -0.43, -0.64, -0.24, -0.51, -0.34, 0.29, -0.57, -0.11, 0.14, -1.08, 0.22, -0.32, 0.40, 0.42, 0.61, 0.37, 0.36, 0.44, 0.36, 0.41, 0.55, 0.74, 0.43, 0.52, -0.28, -0.40, -0.55, 0.40, 0.37, -0.48, 0.49, -0.55, -0.37, 0.39, 0.20, -0.25, -0.73, -0.34, 0.41, 0.76, 0.36, -0.35, -0.99, -0.48, 0.77, 0.42, -0.02, 0.39, 0.40, -0.50, 0.36, 0.43, -0.32, -0.10, -0.40, -0.49, 0.40, 0.73, -0.42, 0.26, -0.32, -0.36, 0.38, 0.38, -0.32, -0.04, -0.54, 0.42, 0.41, -0.32, 0.20, 0.45, -0.52, -0.10, -0.85, -0.95, 0.39, -0.52, 0.37, 0.37, -0.38, -0.54, -0.34, -0.37], "charge": -1, "largest_force_ev_per_a": 0.98, "homo_lumo_gap_ev": 7.639}